Activity
Start at the top of the contents underneath and transcribe each line, ending with the one that has "14.2827".
Listing
┌──
No. 1
VASP calculation (PBE-GGA) on CdInP2Cl after structural relaxation.

Results
- Magnetization: 0.965 μB/f.u.
- Density: 4.0 g/cm3
- Distance to the lowest polymorph of the same formula: 0.0398 eV per atom
- Space-group type: P4/mmm, No. 123
- V: 134.2 Å³/cell
- Formation energy (no corrections): 586 meV per atom

POSCAR file:
```
CdInP2Cl
1.0
-1.5655 1.7371 -4.5414
-3.2953 -3.8872 -0.3509
-3.6003 2.8419 2.3281
Cl In Cd P
1 1 1 2
Direct
0.0000 0.0000 0.5000 Cl
0.0000 0.0000 0.0000 In
0.5000 0.5000 0.5000 Cd
0.5000 0.0000 0.0000 P
0.0000 0.5000 0.0000 P
```

---

No. 2
VASP calculation (PBE-GGA) on PaCdInCl6 after structural relaxation.

Results
- Magnetization: 0.048 μB/f.u.
- Density: 2.9 g/cm3
- Space-group type: P-31c, No. 163
- V: 769.9 Å³/cell
- Formation energy (no corrections): -1380 meV per atom

POSCAR file:
```
PaCdInCl6
1.0
7.8897 0.0000 0.0000
-3.9448 6.8326 0.0000
0.0000 0.0000 14.2827
Pa Cl In Cd
2 12 2 2
Direct
0.3333 0.6667 0.7500 Pa
0.6667 0.3333 0.2500 Pa
0.4071 0.0583 0.1470 Cl
0.6512 0.5929 0.1470 Cl
0.3488 0.4071 0.8530 Cl
0.3488 0.9417 0.6470 Cl
0.9417 0.3488 0.1470 Cl
0.9417 0.5929 0.3530 Cl
0.6512 0.0583 0.3530 Cl
0.4071 0.3488 0.3530 Cl
0.5929 0.9417 0.8530 Cl
0.5929 0.6512 0.6470 Cl
0.0583 0.4071 0.6470 Cl
0.0583 0.6512 0.8530 Cl
0.3333 0.6667 0.2500 In
0.6667 0.3333 0.7500 In
0.0000 0.0000 0.5000 Cd
0.0000 0.0000 0.0000 Cd
```

---

No. 3
VASP calculation (PBE-GGA) on CdIn2PbCl6 after structural relaxation.

Results
- Magnetization: 0.000 μB/f.u.
- Density: 3.8 g/cm3
- Space-group type: P4mm, No. 99
- V: 334.7 Å³/cell
- Formation energy (no corrections): -962 meV per atom

POSCAR file:
```
CdIn2PbCl6
1.0
5.8810 0.0000 0.0000
0.0000 7.5435 0.0000
0.0000 0.0000 7.5435
Cl In Pb Cd
6 2 1 1
Direct
0.1765 0.0000 0.0000 Cl
0.7173 0.7624 0.2376 Cl
0.1453 0.5000 0.5000 Cl
0.7173 0.2376 0.7624 Cl
0.7173 0.7624 0.7624 Cl
0.7173 0.2376 0.2376 Cl
0.0236 0.5000 0.0000 In
0.0236 0.0000 0.5000 In
0.6143 0.5000 0.5000 Pb
0.5945 0.0000 0.0000 Cd
```

~~~~~

Entry from Alexandria via LeMat-Bulk: a relaxed ScPaNbOs crystal (PBE).

Values from the calculation:
space group	F-43m
total magnetic moment	0.000	μB per formula unit
crystal system	cubic
formation energy from the elements	-162.6	meV per atom

Geometry as POSCAR:
```
ScPaNbOs
1.0
0.000 3.385 3.385
3.385 0.000 3.385
3.385 3.385 0.000
Sc Pa Nb Os
1 1 1 1
Direct
0.000 0.000 0.000 Sc
0.500 0.500 0.500 Pa
0.750 0.750 0.750 Nb
0.250 0.250 0.250 Os
```


Entry from Alexandria via LeMat-Bulk: a relaxed PrSmGe4 crystal (PBE).

Values from the calculation:
space group	Pbam
total magnetic moment	0.000	μB per formula unit
crystal system	orthorhombic
formation energy from the elements	-585.9	meV per atom

Geometry as POSCAR:
```
PrSmGe4
1.0
7.553 0.000 0.000
0.000 17.876 0.000
0.000 0.000 4.148
Pr Sm Ge
4 4 16
Direct
0.183 0.189 0.000 Pr
0.317 0.689 0.000 Pr
0.683 0.311 0.000 Pr
0.817 0.811 0.000 Pr
0.237 0.448 0.000 Sm
0.263 0.948 0.000 Sm
0.737 0.052 0.000 Sm
0.763 0.552 0.000 Sm
0.003 0.705 0.500 Ge
0.075 0.063 0.500 Ge
0.082 0.564 0.500 Ge
0.170 0.827 0.500 Ge
0.330 0.327 0.500 Ge
0.418 0.064 0.500 Ge
0.425 0.563 0.500 Ge
0.497 0.205 0.500 Ge
0.503 0.795 0.500 Ge
0.575 0.437 0.500 Ge
0.582 0.936 0.500 Ge
0.670 0.673 0.500 Ge
0.830 0.173 0.500 Ge
0.918 0.436 0.500 Ge
0.925 0.937 0.500 Ge
0.997 0.295 0.500 Ge
```


Entry from Alexandria via LeMat-Bulk: a relaxed LaLuTlAg crystal (PBE).

Values from the calculation:
space group	F-43m
total magnetic moment	0.002	μB per formula unit
crystal system	cubic
formation energy from the elements	-312.6	meV per atom

Geometry as POSCAR:
```
LaLuTlAg
1.0
0.000 3.799 3.799
3.799 0.000 3.799
3.799 3.799 0.000
La Lu Tl Ag
1 1 1 1
Direct
0.000 0.000 0.000 La
0.500 0.500 0.500 Lu
0.250 0.250 0.250 Tl
0.750 0.750 0.750 Ag
```


Entry from Alexandria via LeMat-Bulk: a relaxed FeAsRu crystal (PBE).

Values from the calculation:
space group	F-43m
total magnetic moment	2.845	μB per formula unit
crystal system	cubic
└──
Here it is
No. 1
VASP calculation (PBE-GGA) on CdInP2Cl after structural relaxation.

Results
- Magnetization: 0.965 μB/f.u.
- Density: 4.0 g/cm3
- Distance to the lowest polymorph of the same formula: 0.0398 eV per atom
- Space-group type: P4/mmm, No. 123
- V: 134.2 Å³/cell
- Formation energy (no corrections): 586 meV per atom

POSCAR file:
```
CdInP2Cl
1.0
-1.5655 1.7371 -4.5414
-3.2953 -3.8872 -0.3509
-3.6003 2.8419 2.3281
Cl In Cd P
1 1 1 2
Direct
0.0000 0.0000 0.5000 Cl
0.0000 0.0000 0.0000 In
0.5000 0.5000 0.5000 Cd
0.5000 0.0000 0.0000 P
0.0000 0.5000 0.0000 P
```

---

No. 2
VASP calculation (PBE-GGA) on PaCdInCl6 after structural relaxation.

Results
- Magnetization: 0.048 μB/f.u.
- Density: 2.9 g/cm3
- Space-group type: P-31c, No. 163
- V: 769.9 Å³/cell
- Formation energy (no corrections): -1380 meV per atom

POSCAR file:
```
PaCdInCl6
1.0
7.8897 0.0000 0.0000
-3.9448 6.8326 0.0000
0.0000 0.0000 14.2827